A Ballad The wave,soft murmuring,With the wind frolicking,Leaps up into the air.
You see it tremble,hover,Tumble and topple over,It is the Sirens'lair.
They pluck the lyre to enthrall In heavenly festival,In melody divine.
They draw both near and far,Earth and distant star Into their song sublime.
Its charm is so profound One cannot chide the sound That soars so radiantly.
As if great spirits there Would lure the listener Into the dark blue sea.
As if there swells and grows From waves a world that flows Loftily,secretly.
As if in waters deep The Gods are all asleep Down in the dark blue sea.
A little boat draws near,The waves are charmed to hear A gentle bard exalted,His looks so frank and free,Image and melody Like love and hope transfigured.
His lyre rules o'er the deep.
Naiads that were asleep Lend him their songcharmed ear.
And all the waves resound With song and lyre's sweet sound And dance high in the air.
But hear the sad refrains,The Sirens'faroff strains Of sweet melodiousness.
The poet to enthrall,The Goddesses shine all In sound and loveliness.
These calculated molecules were left in the page by mistake.
--- w ---
The following is a DFT calculation (wB97M-V/def2-TZVPD) of the molecule CH3N5.

```
! wB97M-V def2-TZVPD RIJCOSX def2/J DEFGRID3
* xyz 0 1
N 1.12 -1.02 -0.76
C 0.24 -0.11 -0.24
N 0.19 0.19 1.03
N -0.93 0.93 1.08
N -1.54 1.04 -0.10
N -0.79 0.45 -0.96
H 1.93 -1.17 -0.18
H 1.26 -1.01 -1.75
H -1.49 0.70 1.89
*
```

## Properties
Highest occupied orbital energy ... -9.3447 eV
E_LUMO ... 1.1 eV
HOMO-LUMO gap ... 10.4 eV
SMILES ... Nc1nn[nH]n1

---

--- x ---
The following is a DFT calculation (wB97M-V/def2-TZVPD) of the molecule CH3N5.

```
! wB97M-V def2-TZVPD RIJCOSX def2/J DEFGRID3
* xyz 0 1
N -1.64 -0.04 0.25
C -0.33 0.05 -0.09
N 0.48 -0.96 -0.02
N 1.70 -0.36 -0.19
N 1.57 0.98 -0.36
N 0.32 1.24 -0.38
H -2.01 -0.98 0.20
H -2.24 0.70 -0.08
H 2.16 -0.66 0.66
*
```

## Properties
Highest occupied orbital energy ... -9.4933 eV
E_LUMO ... 0.7 eV
HOMO-LUMO gap ... 10.2 eV
SMILES ... Nc1nn[nH]n1

---

It is x that is the least stable of them.

---

--- w ---
The following is a DFT calculation (wB97M-V/def2-TZVPD) of the molecule C5H5NO2S.

```
! wB97M-V def2-TZVPD RIJCOSX def2/J DEFGRID3
* xyz 0 1
C 3.70 -1.14 0.16
C 2.50 -0.90 0.08
C 0.46 0.31 -0.32
C 1.09 -0.87 0.01
C -1.77 1.39 -0.20
N -0.94 0.19 -0.19
O -2.88 -0.87 0.82
O 0.28 -1.91 0.05
S -1.66 -1.29 0.12
H 4.73 -1.25 0.37
H 0.64 1.34 -0.31
H -1.45 2.08 -1.10
H -2.88 1.15 -0.39
H -1.82 1.75 0.90
*
```

## Properties
Highest occupied orbital energy ... -8.3322 eV
E_LUMO ... -0.7 eV
HOMO-LUMO gap ... 7.6 eV

---

--- x ---
The following is a DFT calculation (wB97M-V/def2-TZVPD) of a cluster of 2 separate species, C5H5NO2S in total.

```
! wB97M-V def2-TZVPD RIJCOSX def2/J DEFGRID3
* xyz 0 1
C -1.62 1.63 -0.27
C -2.50 0.67 -0.57
C 0.65 1.47 0.85
C 2.06 -1.22 -0.31
C 3.10 -0.64 0.18
N -0.41 1.45 0.30
O 1.09 -1.84 -0.45
O -1.20 -1.15 0.86
S -2.50 -1.01 -0.17
H -1.73 2.76 -0.44
H -3.39 0.82 -0.97
H 3.82 -1.37 0.38
H 3.40 0.40 -0.04
H -0.76 -1.97 0.64
*
```

## Properties
Highest occupied orbital energy ... -8.3987 eV
E_LUMO ... 0.5 eV
HOMO-LUMO gap ... 8.9 eV

---

It is w that is the least stable of them.

---

--- w ---
The following is a DFT calculation (wB97M-V/def2-TZVPD) of the molecule C6H15NOS.

```
! wB97M-V def2-TZVPD RIJCOSX def2/J DEFGRID3
* xyz 0 1
C -2.27 0.88 -0.35
C 0.73 -2.97 1.22
C 0.36 2.66 -1.31
C -0.97 0.35 -1.06
C 0.46 -1.48 1.80
C 0.33 1.08 -0.82
N 1.33 -0.62 1.11
O 1.31 0.58 -1.70
S 0.96 1.05 0.96
H -2.10 0.73 0.73
H -3.22 0.35 -0.55
H -2.42 1.84 -0.77
H -0.20 -3.32 0.73
H 1.54 -2.91 0.50
H 0.73 -3.67 2.13
H 1.29 3.04 -1.05
H -0.41 3.42 -0.87
H 0.32 2.65 -2.38
H -1.12 0.31 -2.12
H -0.82 -0.73 -0.76
H -0.61 -1.03 1.57
H 0.63 -1.50 2.87
H 2.27 -0.63 1.40
H 1.87 -0.07 -1.28
*
```

## Properties
Highest occupied orbital energy ... -8.8183 eV
E_LUMO ... 0.7 eV
HOMO-LUMO gap ... 9.5 eV
SMILES ... CCNS[C@@](C)(O)CC

---

--- x ---
The following is a DFT calculation (wB97M-V/def2-TZVPD) of a cluster of 2 separate species, C6H15NOS in total.

```
"O youth,soar up and play,Rule o'er the listening sea;
The goal you seek is high,Your breast swells rapturously.
"Here,sumptuous waterhalls Your song alone surprises,And as the great tide falls,Ev'n so your music rises.
"Sportive waves bear it up And send it surging high.
Records of molecules, as found in the file.
- - -
# 1
A structure of composition C35H57BN14SSc. Source: the Open Molecules 2025 dataset; level of theory: ωB97M-V with the def2-TZVPD basis set.

Values from the calculation:
Kohn-Sham gap: 8.878 eV
LUMO: -0.083 Ha
ΔE to the lowest compared entry with this formula, charge and spin: 0.470 eV
Total charge: +1

Last column: Mulliken charge in e.
Positions of all 109 atoms, in Å:
Sc1 -0.130 -0.026 -0.222  -0.744
S1 -1.642 -1.663 1.602  -0.199
N1 -4.039 -0.942 0.393  0.329
N2 -4.114 -2.728 1.461  0.363
N3 -0.419 1.628 1.167  0.293
N4 -3.558 0.210 -0.203  -0.589
N5 -1.281 -1.259 -1.436  -0.459
N6 -1.129 1.518 -1.740  0.413
N7 0.331 2.561 0.480  1.109
N8 1.591 -0.178 1.089  1.304
N9 -5.255 -0.929 -3.408  -0.701
N10 2.218 1.042 1.224  0.924
N11 -3.179 -2.106 -2.704  -0.768
N12 2.160 1.695 -1.203  1.118
N13 -5.395 -2.558 0.995  -0.959
N14 1.656 0.454 -1.534  0.633
C1 1.329 5.758 0.715  -1.058
C2 2.284 0.048 -2.641  -0.725
C3 3.985 2.083 2.743  -0.208
C4 -1.322 3.630 1.489  -0.932
C5 4.005 3.278 -2.234  0.050
C6 3.136 1.061 -3.070  -1.308
C7 -1.559 1.960 -2.701  0.141
C8 3.851 4.479 -1.300  -1.154
C9 2.901 -3.345 1.814  -1.568
C10 2.090 -0.999 2.014  -0.388
C11 0.179 5.054 -0.025  0.247
C12 3.081 0.979 2.253  -0.173
C13 0.423 4.854 -1.525  -1.540
C14 -0.234 3.775 0.647  -0.168
C15 3.757 -1.831 -3.229  -1.470
C16 -4.284 -1.480 -3.078  0.621
C17 -1.398 2.271 1.805  -0.327
C18 -3.415 2.520 3.267  -1.984
C19 1.452 -2.366 -2.434  -1.061
C20 3.236 3.358 3.157  -1.603
C21 -3.611 2.304 -4.083  -1.172
C22 -2.096 2.531 -3.947  -0.536
C23 5.463 2.779 -2.158  -1.401
C24 -2.201 -1.648 -2.048  0.875
C25 -5.337 -1.450 0.341  1.018
C26 -1.431 1.130 4.000  -1.276
C27 5.110 2.361 1.745  -1.467
C28 -6.462 -0.804 -0.378  -1.210
C29 3.037 -0.306 2.770  -0.513
C30 1.145 -2.749 3.523  -1.564
C31 -2.284 1.596 2.810  2.246
C32 3.072 2.074 -2.130  0.148
C33 2.295 -1.357 -3.204  0.786
C34 -3.257 -1.770 1.128  -0.168
C35 1.696 -2.446 2.126  0.531
B1 1.869 2.205 0.242  1.253
H1 -3.861 1.245 -4.106  0.228
H2 0.399 -2.222 -2.604  -0.187
H3 5.683 2.029 -2.918  0.414
H4 -3.028 3.343 3.876  0.357
H5 5.786 3.130 2.130  0.467
H6 -0.686 5.707 0.068  0.698
H7 -1.971 4.427 1.830  0.672
H8 1.705 -3.381 -2.746  0.534
H9 2.602 -4.397 1.806  0.474
H10 1.052 5.944 1.756  0.372
H11 2.246 5.166 0.711  -0.121
H12 5.694 1.455 1.558  0.350
H13 2.388 3.116 3.805  0.335
H14 -2.048 0.585 4.721  0.401
H15 1.917 -2.572 4.278  0.394
H16 1.139 4.056 -1.723  0.521
H17 3.676 -3.218 2.577  0.330
H18 -0.513 4.583 -2.022  0.022
H19 0.792 5.778 -1.976  0.371
H20 -1.867 3.596 -3.948  0.325
H21 4.704 2.701 0.791  0.007
H22 -3.962 2.956 2.421  0.391
H23 2.527 3.169 0.467  -1.210
H24 -3.883 -3.538 2.004  0.204
H25 -2.711 0.706 2.361  -1.131
H26 0.923 -2.648 1.386  0.021
H27 -6.569 0.243 -0.087  0.301
H28 1.542 6.722 0.242  0.418
H29 1.654 -2.296 -1.361  0.161
H30 -0.985 1.993 4.504  0.384
H31 0.836 -3.796 3.590  0.422
H32 2.842 4.880 -1.289  -0.070
H33 3.907 4.020 3.711  0.535
H34 3.844 3.649 -3.247  0.632
- - -
Back to the entry.
The eye,bright,full of hope,Encompasses the sky.
"Enter our SpiritRing;
Magic your heart shall gain,Hear the waves dance and sing,They sound like True Love's pain.
"Worlds came from the Ocean,Spirits were borne on the tide Which dared to cradle the High Ones,While the All was void.
"As Heaven and starglow Look downwards,ever glancing Into the waves below,Into the blue waves'dancing
"As droplets,shivering,shaking,Enfold the Worlds in pride,The spirits'life,awaking,Emerges from the tide.
"Seeking the All inspires you?
You'd burn in song away?
The lyre's sweet music stirs you?
You'd blaze in Heaven's ray?
"Then come down to us all,And tender us your hand;
Your limbs shall Spirit be,You'll see the deep,deep Land."
They rise up from the sea,Hair weaving in roundelay,Heads resting on the air.
Their eyes flash blazing fires,And,shooting sparks,their lyres Glow through the waters fair.
The Youth yields to Delusion,His tears flow in profusion,His heart pounds in his breast.
He cannot turn away,Held captive in Love's sway,To burning passion lost.
Deep thoughts stir in his soul,It fights to gain control,Soars higher,ever higher,Looks up with prideful bearing,In God's own image daring,And this the Sirens hear:
"In your cold depths below Nothing that's High can go,Nor God burn deathlessly.
You glitter but to ensnare,For me you have no care,Your songs are mockery.
"You lack the bosom's beat,The heart's lifegiving heat,The soul's high flight so free.
The Gods in my breast rule,And I obey them all;
I mean no treachery.
____________
[1]
Computed, not measured: a molecular structure, C6H10N at a distorted geometry, with ωB97M-V/def2-TZVPD.

## Properties
Highest occupied orbital energy (spin up / spin down) ... -0.49816 / -0.49819 hartree
Total charge ... +1
Lowest unoccupied orbital energy (spin up / spin down) ... -0.16837 / -0.16838 Eh

Element x y z (Å)
C 0.57345 -1.44499 0.10149
C 1.72864 -1.04585 -0.46234
C 1.82931 -0.00268 -1.49582
C 1.15437 0.47388 -0.27940
C -0.43833 0.25526 1.60124
C -1.27949 -0.01735 -0.65635
N -0.11902 -0.16017 0.23255
H 0.26044 -2.35238 0.57843
H 2.79339 0.46129 -1.65989
H 1.31442 -0.25752 -2.41509
H 1.61710 1.18854 0.37945
H -0.73321 1.30440 1.61728
H -1.25934 -0.35143 1.98041
H 0.42815 0.11463 2.24628
H -1.55490 1.03412 -0.72933
H -1.03559 -0.39328 -1.64863
H -2.12133 -0.58731 -0.26568

=====

[2]
Computed, not measured: 2 unconnected molecules or ions with the total composition C7H13N3O at a distorted geometry, with ωB97M-V/def2-TZVPD.

## Properties
Highest occupied orbital energy ... -0.32375 hartree
Lowest unoccupied orbital energy ... 0.02524 Eh

Element x y z (Å)
C -1.32231 2.50560 -0.12619
C -2.21029 1.53946 0.66903
C -1.64665 0.15152 0.73964
C -2.27867 -1.02944 0.49730
N -1.65586 -2.02842 1.22698
C -0.58520 -1.39544 1.80599
N -0.51667 -0.14231 1.53758
H -1.45155 2.25160 -1.17849
H -0.33320 2.45086 0.32396
H -1.66743 3.53867 -0.02343
H -2.35303 1.94552 1.67584
H -3.24622 1.51249 0.31359
H -3.26816 -1.07371 0.07113
H -1.86006 -3.01717 1.19465
H 0.02150 -1.93826 2.51482
C 2.43060 1.13917 -0.64886
C 2.39290 -0.02277 -1.59776
N 2.80112 -1.19783 -1.02421
O 1.97479 0.04942 -2.73026
H 3.40210 1.50292 -0.30437
H 1.77271 1.17385 0.22142
H 2.22091 2.11880 -1.11743
H 2.59870 -2.07667 -1.49594
H 2.76818 -1.30762 -0.02986

=====

[3]
Computed, not measured: a molecular structure, C4H8ClNS at a distorted geometry, with ωB97M-V/def2-TZVPD.

## Properties
Highest occupied orbital energy ... -0.31452 hartree
Lowest unoccupied orbital energy ... -0.00957 Eh

Element x y z (Å)
C 2.57969 -0.36744 0.31123
C -1.83222 1.29666 0.16171
C -0.68878 -0.72102 -0.83866
C -0.69288 0.29333 0.28911
N 2.26495 -1.33412 0.97844
S 0.82379 1.29911 0.28756
Cl 3.84626 0.17413 -0.60928
H -1.79589 2.02050 0.97385
H -1.75380 1.84112 -0.78024
H -2.79256 0.78581 0.19009
H -0.47264 -0.23958 -1.79080
H -1.66046 -1.20485 -0.90599
H 0.06489 -1.48204 -0.65704
H -0.73771 -0.21304 1.25708
H 2.84736 -2.14857 1.13294

=====

[4]
Computed, not measured: 2 unconnected molecules or ions with the total composition C6H9NO3 at a distorted geometry, with ωB97M-V/def2-TZVPD.

## Properties
Highest occupied orbital energy ... -0.36357 hartree
Lowest unoccupied orbital energy ... -0.02739 Eh

Element x y z (Å)
C 1.76417 0.23298 -0.53838
C 0.97975 -0.46442 0.27252
C -0.39644 -0.78940 -0.22216
C -1.42613 0.18133 -0.35697
C -0.67050 -2.17152 0.22061
C -0.81969 2.29696 -0.08107
N -2.75403 0.00272 0.00177
O -2.99314 -0.00200 1.21912
O -3.57252 -0.05190 -0.91221
O -0.89148 -0.33577 -1.49197
____________
"You shall not captivate Me,nor my love,nor hate,Nor yet my yearning's glow.
It shoots like lightning shafts That gentle power uplifts In melodies that flow.
The Sirens all sink down Before his blazing frown In weeping springs of light.
They seek to follow him,But ah,the Flood so grim Engulfs them all from sight.